A Java enum switch/case statement example

Java enum FAQ: Can you share a Java enum switch example, i.e., how to use an enum with a Java switch statement?

In my earlier Java enum examples tutorial, I demonstrated how to declare a simple Java enum, and then how to use an enum with a variety of Java constructs, including a Java switch statement, a for loop, and an if/then statement.

In this enum tutorial, I want to just focus on using an enum in a switch statement. Hopefully this enum/switch example adds a little more complexity to my earlier examples.

A Java enum switch statement example

In this enum/switch example, I first declare an enum type that looks like this:

enum Day

Then in the main portion of the program, I refer to that enum, both in my main method, and in the “print” method that I call from the main method.

Let’s take a look at the Java source code for my enum example, and then I’ll describe it afterwards:

**Materials data, kept here for reference**
# Li2AlNiO4
Computed powder diffraction line list, CuKα. Input: the PBE+U geometry in the Materials Project.

Principal peaks in the range 5 to 70 degrees two-theta, sorted by position:
| d/Å | I_rel | h k l |
| --- | --- | --- |
| 4.073 | 100 | 1 1 1 |
| 3.731 | 17 | 2 0 0 |
| 3.235 | 18 | 0 2 1 |
| 2.732 | 44 | 1 1 2 |
| 2.646 | 46 | 2 2 0 |
| 2.444 | 12 | 2 2 1 |
| 2.214 | 14 | 3 1 1 |
| 1.973 | 8 | 1 1 3 |
| 1.904 | 15 | 1 3 2 |
| 1.595 | 9 | 0 0 4 |
| 1.544 | 31 | 3 3 2 |
| 1.366 | 8 | 2 2 4 |

Structure:
Cell: 7.4623 7.5081 6.3782 Å, 90.00 90.00 90.00°
Space group C222_1 (No. 20)
Symmetry-distinct sites (fractional):
Li 0.0000 0.1827 0.2500
Li 0.1864 0.5000 0.5000
Al 0.1765 0.5000 0.0000
Ni 0.0000 0.1765 0.7500
O 0.0223 0.3177 0.9857
O 0.1892 0.0130 0.7286



# VCoO4
Computed powder diffraction line list, CuKα. Input: the PBE+U geometry in the Materials Project.

Principal peaks in the range 5 to 70 degrees two-theta, sorted by position:
| d/Å | I_rel | h k l |
| --- | --- | --- |
| 4.675 | 51 | 0 1 1 |
| 4.599 | 32 | 1 0 1 |
| 3.908 | 39 | 0 0 2 |
| 2.844 | 56 | 2 0 0 |
| 2.820 | 42 | 1 1 2 |
| 2.463 | 100 | 1 2 1 |
| 2.430 | 17 | 2 1 1 |
| 2.368 | 49 | 1 0 3 |
| 2.036 | 16 | 2 2 0 |
| 1.623 | 18 | 0 2 4 |
| 1.558 | 33 | 3 2 1 |
| 1.410 | 45 | 2 2 4 |

Structure:
Cell: 5.6885 5.8339 7.8151 Å, 90.00 90.00 90.00°
Space group Imma (No. 74)
Symmetry-distinct sites (fractional):
V 0.0000 0.2500 0.1242
Co 0.0000 0.0000 0.5000
O 0.0000 0.0208 0.2562
O 0.2249 0.2500 0.5009



# Na3CrF6
Computed powder diffraction line list, CuKα. Input: the PBE+U geometry in the Materials Project.

Principal peaks in the range 5 to 70 degrees two-theta, sorted by position:
| d/Å | I_rel | h k l |
| --- | --- | --- |
| 4.735 | 43 | 1 1 1 |
| 4.101 | 65 | 2 0 0 |
| 2.900 | 80 | 2 2 0 |
| 2.473 | 8 | 3 1 1 |
| 2.368 | 27 | 2 2 2 |
| 2.051 | 100 | 4 0 0 |
| 1.834 | 19 | 4 2 0 |
| 1.674 | 28 | 4 2 2 |
| 1.578 | 8 | 5 1 1 |
| 1.450 | 51 | 4 4 0 |
| 1.386 | 5 | 5 3 1 |
| 1.367 | 7 | 6 0 0 |

Structure:
Cell: 8.2020 8.2020 8.2020 Å, 90.00 90.00 90.00°
Space group Fm-3m (No. 225)
Symmetry-distinct sites (fractional):
Na 0.0000 0.0000 0.0000
Na 0.2500 0.2500 0.2500
Cr 0.0000 0.0000 0.5000
F 0.0000 0.0000 0.2662



# Sr2CoO4
Computed powder diffraction line list, CuKα. Input: the PBE+U geometry in the Materials Project.

Principal peaks in the range 5 to 70 degrees two-theta, sorted by position:
| d/Å | I_rel | h k l |
| --- | --- | --- |
| 6.233 | 21 | 0 2 0 |
| 2.850 | 100 | 1 3 1 |
| 2.829 | 98 | 3 3 -1 |
| 2.753 | 74 | 4 0 0 |
| 2.747 | 74 | 2 0 -2 |
| 2.078 | 30 | 0 6 0 |
| 2.062 | 49 | 4 4 0 |
| 1.958 | 41 | 2 0 2 |
| 1.931 | 40 | 6 0 -2 |
| 1.658 | 36 | 4 6 0 |
| 1.611 | 18 | 5 3 1 |
| 1.425 | 19 | 2 6 2 |

Structure:
Cell: 12.2406 12.4670 5.4938 Å, 90.00 115.88 90.00°
Space group Cm (No. 8)
Symmetry-distinct sites (fractional):
Sr 0.0000 0.1412 0.0000
Sr 0.2474 0.3569 0.2451
Sr 0.2522 0.1426 0.7567
Sr 0.4992 0.1437 0.4996
Co 0.9999 0.5000 0.0016

 * A Java enum switch statement (switch/case) example.
 * @author alvin alexander, https://alvinalexander.com
public class JavaEnumSwitchCaseExample

  public static void main(String[] args)
    // loop through the enum values, calling the
    // print method once for each value
    for (Day d: Day.values())

Simulated X-ray diffraction stick pattern
Compound: KRe3
Radiation: Cu Kα X-rays
Structure: a structure optimized by DFT (GGA-PBE)
Lines closer than 0.1° are merged.

Principal peaks in the range 2θ from 10° to 90°, in order of rising 2θ:
2theta	I/Imax	h k l
34.0	21	0 0 4
37.1	30	1 0 0
41.0	100	1 0 2
42.9	16	0 0 5
45.5	42	1 0 3
51.2	10	1 0 4
58.0	16	1 0 5
66.9	19	1 1 0
74.2	16	1 0 7
77.2	12	1 1 4
81.5	14	2 0 2
82.8	15	1 1 5

Cell: 2.799 2.799 10.536 Å, 90.00 90.00 120.00°
Sites, in units of the cell vectors:
K1 0.000 0.000 0.000
Re1 0.000 0.000 0.500
Re2 0.667 0.333 0.292
Re3 0.667 0.333 0.708

* * * * *

Record 1
# Ac5Nd5Dy2
Calculated powder diffraction line list, CuKα. Input: a GGA-PBE-relaxed structure.

Cell and atoms:
abc: 9.526 9.526 10.405
angles: 122.87 122.87 36.52
Positions (direct):
Ac1 0.000 0.000 0.000
Ac2 0.122 0.122 0.459
Ac3 0.252 0.252 0.242
Ac4 0.748 0.748 0.758
Ac5 0.878 0.878 0.541
Nd1 0.377 0.377 0.046
Nd2 0.377 0.377 0.716
Nd3 0.500 0.500 0.500
Nd4 0.623 0.623 0.284
Nd5 0.623 0.623 0.954
Dy1 0.127 0.127 0.799
Dy2 0.873 0.873 0.201

Peak list (12 most intense, 2θ from 10° to 80°, most intense first)
2θ/deg	I_rel
29.79	100
29.64	73
29.55	72
29.94	50
42.56	46
58.58	30
52.92	30
52.77	28
53.06	20
58.38	16
49.09	13
61.88	12

***

Record 2
# CaAc14Er
Calculated powder diffraction line list, CuKα. Input: a GGA-PBE-relaxed structure.

Cell and atoms:
abc: 11.187 7.921 7.921
angles: 90.00 90.00 90.00
Positions (direct):
Ca1 0.000 0.000 0.000
Ac1 0.000 0.000 0.499
Ac2 0.000 0.499 0.000
Ac3 0.247 0.253 0.747
Ac4 0.247 0.746 0.746
Ac5 0.247 0.747 0.253
Ac6 0.248 0.254 0.254
Ac7 0.500 0.000 0.000
Ac8 0.500 0.500 0.500
Ac9 0.500 0.500 0.999
Ac10 0.500 0.999 0.500
Ac11 0.752 0.254 0.254
Ac12 0.753 0.253 0.747
Ac13 0.753 0.746 0.746
Ac14 0.753 0.747 0.253
Er1 0.000 0.500 0.500

Peak list (12 most intense, 2θ from 10° to 80°, most intense first)
2θ/deg	I_rel
27.60	100
31.97	52
54.35	47
45.85	39
73.77	19
76.02	18
56.98	14
66.81	4
66.91	2
17.71	1
15.83	1
23.84	1

***

Record 3
# Ho3Si2Ir
Calculated powder diffraction line list, CuKα. Input: a GGA-PBE-relaxed structure.

Cell and atoms:
abc: 11.471 4.173 11.177
angles: 90.00 90.00 90.00
Positions (direct):
Ho1 0.057 0.250 0.123
Ho2 0.120 0.750 0.558
Ho3 0.215 0.250 0.801
Ho4 0.285 0.750 0.301
Ho5 0.380 0.250 0.058
Ho6 0.443 0.750 0.623
Ho7 0.557 0.250 0.377
Ho8 0.620 0.750 0.942
Ho9 0.715 0.250 0.699
Ho10 0.785 0.750 0.199
Ho11 0.880 0.250 0.442
Ho12 0.943 0.750 0.877
Si1 0.019 0.750 0.312
Si2 0.194 0.750 0.997
Si3 0.306 0.250 0.497
Si4 0.481 0.250 0.812
Si5 0.519 0.750 0.188
Si6 0.694 0.750 0.503
Si7 0.806 0.250 0.003
Si8 0.981 0.250 0.688
Ir1 0.129 0.250 0.366
Ir2 0.371 0.750 0.866
Ir3 0.629 0.250 0.134
Ir4 0.871 0.750 0.634

Peak list (12 most intense, 2θ from 10° to 80°, most intense first)
2θ/deg	I_rel
32.21	100
35.68	82
43.40	68
27.61	41
38.95	40
30.96	35
41.98	34
32.99	30
11.05	26
40.12	23
51.66	23
24.61	23

***

Record 4
# Y3Ho8Zr

  // a method that prints a String corresponding to the day value
  // that is passed in.
  public static void printTodaysThought(Day theDay)
    switch (theDay)
      case MONDAY:
      case TUESDAY:
      case WEDNESDAY:
      case THURSDAY:  System.out.println("Working for the man :)");

      case FRIDAY:    System.out.println("TGIF ");

      case SATURDAY:
      case SUNDAY:    System.out.println("Ahh, the weekend ...");

      default:        System.out.println("What day is it?");;

 * Our "Day" enum type
enum Day

When you compile and run this code, the output looks like this:

Ahh, the weekend ...
Working for the man :)
Working for the man :)
Working for the man :)
Working for the man :)
Ahh, the weekend ...

The output is in this order because the enum begins on SUNDAY, and goes in order from there until SATURDAY.


As with any Java program, the flow of control starts in the main method. Inside main I jump right in with this for loop:

for (Day d: Day.values())

This “enum for loop” iterates through all the values in the Day enum, using the values method that comes with Java’s enum type. That’s really the only “trick” in this code; the rest of it is a standard Java 5 for loop, and it calls the printTodaysThought method once for each constant in the Day enum.

The printTodaysThought method takes one Day value (theDay), and compares that variable against the constants that are shown in the switch statement. For the values MONDAY through THURSDAY I print one String; for FRIDAY I print a different string; and SATURDAY and SUNDAY print their own string. If a calling program manages to somehow call this method with a different Day value — something which should be really hard to do, unless I add a new value to the Day enum — flow of control will fall down to the default expression.


I hope this Java enum switch statement example has been helpful. Between my original Java enum tutorial and this tutorial, I hope it helps to see at least two examples of how to use a custom enum type with a switch statement (sometimes called a case statement).

Related Java enum content

As I finish up my Java enum series, here’s a collection of the Java enum tutorials I’ve written. Again, I hope you find them helpful: